• Wanted:
Could you search the data underneath for the word "of" and type out each line that has it?
• Material:
+++
No. 1
A cluster of 2 separate species, C6H15N2 in total. Source: the OMol25 dataset; level of theory: wB97M-V/def2-TZVPD.

The frontier orbital gap (spin up / spin down) comes out at 0.291 / 0.334 hartree.

Geometry as ORCA input:
```
! wB97M-V def2-TZVPD RIJCOSX def2/J DEFGRID3
* xyz 0 2
C -1.69461 0.24855 -1.57352
C -1.23893 -0.91742 -0.71339
C -0.03934 -0.68012 0.19096
C 1.14838 -1.22151 -0.22551
N 2.36405 -1.03403 0.47875
C -0.21695 0.11029 1.34389
C -1.58090 0.28211 1.95648
N 2.18309 1.94295 -0.81253
H -1.81037 1.14429 -0.95748
H -0.92299 0.46465 -2.31133
H -1.00629 -1.81077 -1.31301
H -2.05328 -1.37689 -0.13919
H 1.19661 -1.71508 -1.18311
H 2.85310 -1.90305 0.65962
H 2.09056 -0.72475 1.40616
H 0.57293 0.70232 1.78723
H 2.99973 2.43265 -1.13414
H -1.54502 0.80598 2.90810
H -2.04398 -0.69143 2.13697
H -2.26842 0.82222 1.29855
H -2.66406 0.04904 -2.02305
H 1.38521 2.03271 -1.39351
H 2.29149 1.03728 -0.38696
*
```

Here is what natural (NBO) gives for the atomic charges, in e: C -0.61; C -0.42; C -0.14; C 0.01; N -0.82; C -0.17; C -0.66; N -1.12; H 0.21; H 0.21; H 0.20; H 0.21; H 0.19; H 0.37; H 0.37; H 0.19; H 0.37; H 0.22; H 0.21; H 0.21; H 0.21; H 0.36; H 0.39



No. 2
A cluster of 2 separate species, C6H15N2 in total. Source: the OMol25 dataset; level of theory: wB97M-V/def2-TZVPD.

The frontier orbital gap comes out at 0.315 hartree.

Geometry as ORCA input:
```
! wB97M-V def2-TZVPD RIJCOSX def2/J DEFGRID3
* xyz 1 1
C -0.26514 0.65328 1.46423
C -0.78035 1.21486 0.35747
C 1.37612 -0.70007 0.57604
C -0.09345 2.34792 -0.31932
C -2.12064 0.88600 -0.26660
C -0.03897 -2.68093 0.20302
N 2.39906 -0.10444 0.05682
N 0.59695 -1.45693 -0.38342
H 0.49314 1.12320 2.10333
H -0.74060 -0.12055 2.11804
H 1.00316 2.30333 -0.11244
H -0.44431 3.46892 -0.07938
H -0.19235 2.35461 -1.42618
H -2.01158 0.64531 -1.30947
H -2.75550 1.77657 -0.25939
H -2.52452 -0.08839 0.20493
H -0.76746 -3.23412 -0.43376
H 0.63535 -3.45378 0.59815
H -0.70749 -2.42728 1.01418
H 2.99950 0.32124 0.68678
H 2.85479 -0.09680 -0.94263
H -0.06091 -0.80738 -0.70692
H 1.16603 -1.53828 -1.35687
*
```

Here is what natural (NBO) gives for the atomic charges, in e: C -0.41; C -0.05; C 0.30; C -0.67; C -0.65; C -0.44; N -0.75; N -0.60; H 0.23; H 0.22; H 0.21; H 0.26; H 0.22; H 0.21; H 0.26; H 0.22; H 0.25; H 0.26; H 0.25; H 0.42; H 0.39; H 0.46; H 0.41



No. 3
The ion C6H15N2 with charge +1. Source: the OMol25 dataset; level of theory: wB97M-V/def2-TZVPD.

As for the SMILES: CC[N+]1(N)CCCC1. The frontier orbital gap comes out at 0.455 hartree.

Geometry as ORCA input:
```
! wB97M-V def2-TZVPD RIJCOSX def2/J DEFGRID3
* xyz 1 1
C 2.53599 0.33445 -0.23302
C 1.34404 -0.34445 -0.83309
N 0.20186 -0.17436 0.25309
N 0.42468 -0.42715 1.64202
C -0.76828 -1.20458 -0.17720
C -2.10350 -0.44452 -0.44936
C -1.92287 1.00205 0.09163
C -0.36521 1.21678 0.16447
H 2.30697 1.45572 -0.11274
H 2.84790 -0.07707 0.69140
H 3.36759 0.09662 -0.88947
H 1.64830 -1.33712 -0.96307
H 1.04364 0.18895 -1.64932
H 0.01540 -1.29286 1.96801
H 1.39106 -0.28100 1.86231
H -1.05533 -1.87490 0.51573
H -0.63619 -1.77370 -1.14139
H -3.05558 -0.81149 -0.11588
H -2.36210 -0.29463 -1.58355
H -2.49619 1.78121 -0.50604
H -2.26978 1.01604 1.16335
H -0.12397 1.62906 -0.81935
H 0.03159 1.61694 1.12148
*
```

Here is what natural (NBO) gives for the atomic charges, in e: C -0.64; C -0.17; N -0.07; N -0.65; C -0.25; C -0.43; C -0.42; C -0.23; H 0.23; H 0.21; H 0.26; H 0.23; H 0.22; H 0.40; H 0.39; H 0.23; H 0.26; H 0.25; H 0.22; H 0.26; H 0.22; H 0.22; H 0.26



No. 4
A cluster of 2 separate species, C6H15N2 in total. Source: the OMol25 dataset; level of theory: wB97M-V/def2-TZVPD.

The frontier orbital gap comes out at 0.355 hartree.

Geometry as ORCA input:
```
! wB97M-V def2-TZVPD RIJCOSX def2/J DEFGRID3
* xyz 1 1
C 0.31287 -1.57405 0.24203
C 1.16351 -2.59358 0.10654
N 2.26971 -2.80948 0.90261
N -0.84997 -1.57665 -0.60377
H 0.44735 -0.67378 0.80653
H 1.01073 -3.33295 -0.67223
H 2.96337 -3.44284 0.52138
+++
• Here it is:
A cluster of 2 separate species, C6H15N2 in total. Source: the OMol25 dataset; level of theory: wB97M-V/def2-TZVPD.
A cluster of 2 separate species, C6H15N2 in total. Source: the OMol25 dataset; level of theory: wB97M-V/def2-TZVPD.
The ion C6H15N2 with charge +1. Source: the OMol25 dataset; level of theory: wB97M-V/def2-TZVPD.
A cluster of 2 separate species, C6H15N2 in total. Source: the OMol25 dataset; level of theory: wB97M-V/def2-TZVPD.